The space agency leaders from the United States, Russia,
Japan, Europe and Canada met at the ESA Technical Centre
(ESTEC) in Noordwijk, The Netherlands, on July 23, 2004, to
discuss International Space Station (ISS) cooperation
activities. At this meeting, the ISS Partnership unanimously
endorsed the ISS technical configuration and reviewed the
status of ISS on-orbit operations and plans. The new ISS
configuration is planned for completion by the end of the
decade and will accommodate on-orbit elements from each of
the ISS Partners. The configuration will enable increased
utilization and will provide early opportunities for an
enhanced crew of greater than three people.

The ISS Partnership’s endorsement of this configuration
provides a clear basis for completion of programmatic and
financial evaluation and subsequent agreement on a
transportation and logistics framework that will support
assembly and operation of ISS. This framework will be
supported by Russian Soyuz vehicles, the U.S. Space Shuttle,
the automated logistics re-supply and re-boost capabilities
provided by Russian Progress vehicles, and the transfer
vehicles ATV and HTV to be provided by Europe and Japan.

The partnership also agreed that additional assessments would
be conducted to confirm the ISS flight program in a nominal
mode in 2005 and further to evaluate opportunities to
accelerate the launch of the Japanese and European research
modules JEM (Kibo) and Columbus and to establish a specific
schedule to enhance the permanent crew.

NASA and FSA (Russian Federal Space Agency) once again
reconfirmed their commitment to support individually and
cooperatively, in 2005, uninterrupted (continuous) human
presence on the ISS of the integrated crew, provide for its
rotation, and rescue on a parity basis. For that they agree
to complete agreements on mutual responsibilities for ISS as
soon as possible. The results of these assessments will be
reviewed at the next ISS Heads of Agency meeting in early
2005 leading to the partnership’s final endorsement of the
ISS configuration.

What comes next are crystal structures, not part of the page:
-- begin --
# Mg2V3CrS8 PBE optimized geometry
# Volume ... 269 Å³/cell
# Energy relative to the elements ... -1.246 eV/atom
# SG ... P-1
# Energy with MP2020 corrections ... -90.65 eV/cell
data_Mg2V3CrS8
_chemical_formula_sum 'Mg2 V3 Cr1 S8'
_symmetry_space_group_name_H-M 'P 1'
_symmetry_Int_Tables_number 1
_cell_length_a 7.178
_cell_length_b 7.198
_cell_length_c 7.293
_cell_angle_alpha 60.58
_cell_angle_beta 60.62
_cell_angle_gamma 60.16
loop_
_symmetry_equiv_pos_as_xyz
'x,y,z'
loop_
_atom_site_label
_atom_site_fract_x
_atom_site_fract_y
_atom_site_fract_z
Mg1 0.125 0.125 0.124
Mg2 0.875 0.875 0.876
V1 0.000 0.500 0.500
V2 0.500 0.000 0.500
V3 0.500 0.500 0.500
Cr1 0.500 0.500 0.000
S1 0.261 0.261 0.716
S2 0.263 0.264 0.260
S3 0.264 0.713 0.259
S4 0.286 0.735 0.741
S5 0.714 0.265 0.259
S6 0.736 0.287 0.741
S7 0.737 0.736 0.740
S8 0.739 0.739 0.284

----------

# 1
Ag33Pb14O42 after structural relaxation, computed with PBE.

a = 8.880 Å, b = 8.882 Å, c = 19.248 Å
α = 85.94°, β = 85.74°, γ = 72.03°
Atoms (fractional coordinates):
Ag: 0.929 0.430 0.858
Ag: 0.213 0.215 0.930
Ag: 0.042 0.042 0.819
Ag: 0.428 0.929 0.857
Ag: 0.358 0.857 0.714
Ag: 0.642 0.643 0.786
Ag: 0.471 0.471 0.678
Ag: 0.858 0.358 0.714
Ag: 0.784 0.289 0.571
Ag: 0.820 0.813 0.896
Ag: 0.072 0.072 0.643
Ag: 0.899 0.899 0.533
Ag: 0.289 0.784 0.571
Ag: 0.216 0.711 0.429
Ag: 0.243 0.243 0.753
Ag: 0.328 0.329 0.393
Ag: 0.711 0.216 0.429
Ag: 0.642 0.143 0.286
Ag: 0.672 0.671 0.607
Ag: 0.928 0.928 0.357
Ag: 0.757 0.757 0.247
Ag: 0.142 0.642 0.286
Ag: 0.071 0.570 0.142
Ag: 0.101 0.101 0.467
Ag: 0.358 0.357 0.214
Ag: 0.180 0.187 0.104
Ag: 0.572 0.071 0.143
Ag: 0.500 0.000 0.000
Ag: 0.529 0.529 0.322
Ag: 0.787 0.785 0.070
Ag: 0.612 0.614 0.962
Ag: 0.958 0.958 0.181
Ag: 0.388 0.386 0.038
Pb: 0.256 0.596 0.859
Pb: 0.596 0.263 0.858
Pb: 0.690 0.024 0.714
Pb: 0.025 0.689 0.714
Pb: 0.125 0.451 0.570
Pb: 0.451 0.125 0.570
Pb: 0.549 0.875 0.430
Pb: 0.875 0.549 0.430
Pb: 0.975 0.311 0.286
Pb: 0.310 0.976 0.286
Pb: 0.404 0.737 0.142
Pb: 0.744 0.404 0.141
Pb: 0.837 0.170 0.001
Pb: 0.163 0.830 0.999
O: 0.368 0.743 0.919
O: 0.114 0.490 0.796
O: 0.362 0.365 0.921
O: 0.489 0.494 0.796
O: 0.744 0.369 0.919
O: 0.490 0.115 0.796
O: 0.795 0.172 0.776
O: 0.542 0.922 0.651
O: 0.792 0.793 0.777
O: 0.922 0.921 0.651
O: 0.172 0.794 0.776
O: 0.922 0.542 0.651
O: 0.227 0.600 0.633
O: 0.971 0.348 0.510
O: 0.221 0.222 0.635
O: 0.348 0.347 0.508
O: 0.600 0.227 0.633
O: 0.348 0.971 0.510
O: 0.652 0.029 0.490
O: 0.400 0.773 0.367
O: 0.652 0.653 0.492
O: 0.779 0.778 0.365
O: 0.029 0.652 0.490
O: 0.773 0.400 0.367
O: 0.078 0.458 0.349
O: 0.828 0.206 0.224
O: 0.078 0.079 0.349
O: 0.208 0.207 0.223
O: 0.458 0.078 0.349
O: 0.205 0.828 0.224
O: 0.510 0.885 0.204
O: 0.256 0.631 0.081
O: 0.511 0.506 0.204
O: 0.638 0.635 0.079
O: 0.886 0.510 0.204
O: 0.632 0.257 0.081
O: 0.939 0.310 0.063
O: 0.688 0.064 0.939
O: 0.935 0.936 0.062
O: 0.065 0.064 0.938
O: 0.312 0.936 0.061
O: 0.061 0.690 0.937
-- stop --
The page goes on:

During their discussions, the space agency leadership
reaffirmed their enduring commitment to the unprecedented
international cooperation that has characterized the ISS
Program. In particular, they expressed their appreciation of
Russia’s significant efforts, through the provision of crew
transportation and re-supply capabilities, to safely maintain
a human presence on-orbit during the current hiatus in Space
Shuttle flights.

No. 1
A plane-wave DFT calculation with PBE was carried out for a relaxed structure of Cs3Na2SnP3.

Properties
ΔE_f (kcal/mol of atoms): -8.8
Total magnetic moment (μB/f.u.): 0.00

a b c (Å): 20.6371 6.9229 16.5582
angles (deg): 90.00 90.00 90.00
With the nearest neighbours (Å) after each atom.
Space group Cmce (No. 64)
One atom of each set of equivalent atoms:
Cs1 0.0000 0.2325 0.1787 x8  4 P 3.57-3.96, 2 Na 3.76, 2 Sn 3.93
Cs2 0.1671 0.2257 0.8273 x16  3 Na 3.64-3.87, 5 P 3.67-3.91, 1 Sn 3.81
Na1 0.0806 0.0000 0.0000 x8  4 P 2.93-2.99
Na2 0.2459 0.0000 0.0000 x8  4 P 2.93-3.07
Sn1 0.0874 0.0000 0.5000 x8  4 P 2.58-2.65
P1 0.0000 0.2008 0.4176 x8  2 Sn 2.65
P2 0.1571 0.2182 0.5913 x16  1 Sn 2.58

No. 2
A plane-wave DFT calculation with PBE was carried out for a relaxed structure of LiLuGe.

Properties
ΔE_f (kcal/mol of atoms): -15.9

a b c (Å): 6.9849 6.9849 4.1962
angles (deg): 90.00 90.00 120.00
With the nearest neighbours (Å) after each atom.
Space group P-62m (No. 189)
One atom of each set of equivalent atoms:
Li1 0.0000 0.2400 0.0000 x3  4 Ge 2.69-2.71, 2 Li 2.90
Lu1 0.0000 0.5817 0.5000 x3  5 Ge 2.92-2.97, 2 Li 3.18
Ge1 0.0000 0.0000 0.5000 x1  6 Li 2.69, 3 Lu 2.92
Ge2 0.3333 0.6667 0.0000 x2  3 Li 2.71, 6 Lu 2.97

No. 3
A plane-wave DFT calculation with PBE was carried out for a relaxed structure of CaMg6AlO8.

Properties
ΔE_f (kcal/mol of atoms): -65.8
Total magnetic moment (μB/f.u.): 0.00
Energy above the most stable polymorph in this dataset (meV per atom): 0.0

a b c (Å): 4.4428 4.4428 8.5827
angles (deg): 90.00 90.00 90.00
With the nearest neighbours (Å) after each atom.
Space group P4/mmm (No. 123)
One atom of each set of equivalent atoms:
Ca1 0.0000 0.0000 0.0000 x1  6 O 2.22-2.37
Mg1 0.0000 0.5000 0.2553 x4  6 O 2.10-2.23
Mg2 0.5000 0.5000 0.0000 x1  6 O 2.14-2.22
Mg3 0.5000 0.5000 0.5000 x1  6 O 2.16-2.22
Al1 0.0000 0.0000 0.5000 x1  2 O 1.93
O1 0.0000 0.0000 0.2756 x2  1 Al 1.93
O2 0.0000 0.5000 0.0000 x2  4 Mg 2.19-2.22, 2 Ca 2.22
O3 0.0000 0.5000 0.5000 x2  4 Mg 2.10-2.22, 2 Al 2.22
O4 0.5000 0.5000 0.2488 x2  6 Mg 2.14-2.22

No. 4
A plane-wave DFT calculation with PBE was carried out for a relaxed structure of Ho2Re3Si5.

Properties
ΔE_f (kcal/mol of atoms): -12.8

a b c (Å): 10.9893 10.9893 5.5310
angles (deg): 90.00 90.00 90.00
With the nearest neighbours (Å) after each atom.
Space group P4/mnc (No. 128)
One atom of each set of equivalent atoms:
Ho1 0.0768 0.2390 0.0000 x8  7 Si 2.84-3.15, 2 Re 3.13
Re1 0.0000 0.5000 0.2500 x4  6 Si 2.48-2.70, 2 Re 2.77
Re2 0.1252 0.8544 0.5000 x8  6 Si 2.46-2.55
Si1 0.0000 0.0000 0.2406 x4  4 Re 2.55, 1 Si 2.66
Si2 0.0260 0.3146 0.5000 x8  4 Re 2.46-2.49, 2 Si 2.60
Si3 0.1739 0.6739 0.2500 x8  3 Re 2.48-2.70, 4 Si 2.60-2.77

No. 5
A plane-wave DFT calculation with PBE was carried out for a relaxed structure of DyAlZn.

Properties
ΔE_f (kcal/mol of atoms): -10.5

a b c (Å): 4.4846 4.4846 7.1624
angles (deg): 90.00 90.00 120.00
With the nearest neighbours (Å) after each atom.

They also expressed appreciation for NASA’s continuing
efforts to safely return the Space Shuttle to flight in the
March 2005 timeframe as a significant step for continuing ISS
assembly and operations.

The leaders of the ISS partnership also noted the continued
success of on-orbit ISS utilization and operations
activities, including the spacewalk on June 30, 2004, by
Expedition 9 Commander Gennady Padalka and NASA ISS Science
Officer Mike Fincke, and the April 2004 research mission to
ISS by ESA astronaut Andre Kuipers as well as continuing
successful critical on-orbit operations of Canada’s Canadarm

A graphic showing the technical station configuration
endorsed at this meeting is available on the Internet at